**File**
~~~
No. 1
C9H20FN3 | ωB97M-V with the def2-TZVPD basis set

Values from the calculation:
E_HOMO (Eh): -0.6260
Frontier orbital gap (eV): 10.88
Energy (Ha): -618.37398
Total charge: +2
SMILES: C/[NH+]=C(/CF)N1CCC(C)([NH3+])CC1

```
33
Properties=species:S:1:pos:R:3:nbo_charge:R:1
C -2.14170 0.05080 0.05676 0.54
C 1.21343 -1.01056 -0.11988 -0.43
C 0.99834 1.43507 -0.40926 -0.43
C 0.04471 -0.87124 0.81936 -0.25
C -0.14606 1.37218 0.55983 -0.21
C 2.01669 0.23807 -0.17856 0.14
C 2.87371 0.42595 1.05483 -0.68
C -2.53024 -2.37186 -0.48608 -0.46
C -3.20708 1.51848 0.13600 0.07
N -0.88177 0.17371 0.50166 -0.40
N -2.89229 -0.95992 -0.12408 -0.54
N 2.92779 0.14238 -1.37859 -0.69
F -4.36404 1.13567 -0.35783 -0.31
H 1.84447 -1.80294 0.10379 0.24
H 0.79636 -1.08220 -1.16308 0.21
H 0.61614 1.55598 -1.44975 0.23
H 1.52370 2.32609 -0.25404 0.24
H -0.37738 -1.92955 0.98785 0.26
H 0.45847 -0.60945 1.84160 0.23
H 0.33971 1.57711 1.47250 0.23
H -0.93099 2.18826 0.24777 0.24
H 2.93195 1.43435 1.51975 0.26
H 3.89727 0.05793 0.90416 0.25
H 2.51602 -0.25220 1.84163 0.25
H -1.53764 -2.52239 -0.96285 0.22
H -3.22686 -2.91893 -1.17326 0.27
H -2.45221 -2.89235 0.53009 0.23
H -2.62224 2.10757 -0.54451 0.18
H -3.56020 1.87318 1.12025 0.24
H -4.02609 -0.95855 -0.10740 0.49
H 3.44605 -0.71412 -1.40491 0.45
H 3.76647 0.82605 -1.28917 0.46
H 2.68550 0.45745 -2.29458 0.46
```

---

No. 2
C15H21N5O7S | ωB97M-V with the def2-TZVPD basis set

Values from the calculation:
E_HOMO (Eh): -0.3255
Frontier orbital gap (eV): 8.97
Energy (Ha): -1782.88337
SMILES: C[C@H]1[C@@H](OS(=O)(=O)O)C[C@@H]2C[C@H]([C@@H](O)c3cc(=O)[nH]c(=O)[nH]3)N=C3NC[C@H]1N32

```
49
Properties=species:S:1:pos:R:3:nbo_charge:R:1
O 5.60474 -2.49566 0.83641 -0.60
O 5.54597 -1.07374 -3.29439 -0.62
O -1.41763 4.50478 3.39356 -0.92
O 0.71482 3.75814 2.36768 -0.88
N -0.86718 -2.31239 -0.90084 -0.62
O 0.99436 -2.46608 -2.90662 -0.74
O -0.17698 2.70996 4.47299 -0.84
O -1.36504 2.21744 2.21538 -0.69
C 4.95300 -2.21041 -0.13079 0.63
C 4.92861 -1.45885 -2.32423 0.78
C -1.76849 -1.37724 -0.70223 0.61
C 3.57145 -2.61557 -0.27160 -0.43
C 2.89860 -2.36400 -1.46163 0.28
N 5.58350 -1.50991 -1.12914 -0.61
N 3.59833 -1.77376 -2.48002 -0.60
N -3.08619 -1.67915 -0.79165 -0.60
N -1.57170 -0.10792 -0.28920 -0.46
C -0.22382 1.83714 0.10006 -0.43
C -3.85924 -0.54525 -0.19757 -0.22
C -4.00189 2.55989 1.02274 -0.62
C 0.81450 -0.42713 -0.59099 -0.44
C -0.25241 0.31805 0.26142 -0.01
C -1.42186 2.48411 0.81473 0.09
C -2.77291 0.38076 0.38164 -0.05
C -2.78902 1.94470 0.27590 -0.21
C 1.41680 -2.68946 -1.55564 0.06
C 0.52991 -1.95621 -0.55474 -0.07
S -0.52018 3.39592 3.05040 2.47
H 0.01482 -2.45379 -2.83832 0.50
H -0.66845 3.27083 5.08228 0.52
H 3.12871 -3.03071 0.58790 0.24
H 6.56805 -1.57253 -1.10859 0.44
H 3.18374 -1.72377 -3.40432 0.45
H -3.29977 -2.65344 -0.63137 0.42
H 0.72523 2.21879 0.40445 0.24
H -0.30298 2.08192 -0.95620 0.22
H -4.56025 -0.89536 0.55665 0.21
H -4.42141 -0.08066 -1.00061 0.20
H -3.94651 3.68182 0.98211 0.22
H -3.94580 2.25882 2.06109 0.22
H -4.95744 2.20905 0.62662 0.22
H 0.72916 -0.07630 -1.58072 0.22
H 1.80885 -0.20706 -0.22048 0.23
H -0.15856 0.06493 1.31561 0.20
H -1.37681 3.57939 0.65564 0.21
H -2.79805 0.12544 1.46815 0.18
H -2.83829 2.24094 -0.76855 0.22
H 1.30848 -3.75027 -1.28076 0.20
H 0.74722 -2.33620 0.43779 0.20
```

---

No. 3
C2H9N6 | ωB97M-V with the def2-TZVPD basis set

Values from the calculation:
E_HOMO (Eh): -0.4143
Frontier orbital gap (eV): 7.27
Energy (Ha): -409.77800
Total charge: +1

```
17
Properties=species:S:1:pos:R:3:nbo_charge:R:1
C 1.25726 0.66732 -0.10666 -0.20
C 1.51730 -0.72497 0.05345 0.51
N 0.55441 -1.46331 0.57915 -0.69
N 0.09564 1.18334 0.26075 -0.07
N 2.73252 -1.21216 -0.24556 -0.74
N -0.19257 2.42044 0.17621 -0.49
N -3.55792 -0.40420 -0.31017 -0.35
N -2.76809 -0.85952 0.42815 -0.26
H 1.93044 1.31679 -0.63766 0.19
H 0.81866 -2.41253 0.97954 0.42
H 3.49245 -0.69768 -0.30553 0.40
H 3.00153 -2.23309 -0.47212 0.44
H -1.01651 2.74031 0.56276 0.40
~~~

**Request**
Next, duplicate every line earlier on that contains the word "nH".

**Written answer**
SMILES: C[C@H]1[C@@H](OS(=O)(=O)O)C[C@@H]2C[C@H]([C@@H](O)c3cc(=O)[nH]c(=O)[nH]3)N=C3NC[C@H]1N32